Listing.
# Li2Zn2GaPd2Pt
Simulated XRD peak list, λ = 1.5418 Å (Cu Kα). Input: a DFT-relaxed cell (GGA-PBE, OQMD).
Lines closer than 0.1° are merged.

Most intense lines, 10 to 90 degrees two-theta, low angle first:
d = 7.136 Å, I 10, hkl 0 0 1
d = 3.487 Å, I 50, hkl 1 0 1
d = 2.215 Å, I 100, hkl 1 1 2
d = 2.044 Å, I 11, hkl 1 0 3
d = 1.998 Å, I 37, hkl 2 0 0
d = 1.784 Å, I 14, hkl 0 0 4
d = 1.734 Å, I 14, hkl 2 1 1
d = 1.413 Å, I 12, hkl 2 2 0
d = 1.331 Å, I 18, hkl 2 0 4
d = 1.191 Å, I 26, hkl 3 1 2
d = 1.108 Å, I 11, hkl 2 2 4
d = 1.096 Å, I 9, hkl 1 1 6

Structure:
```
data_Li2Zn2GaPd2Pt
_chemical_formula_sum 'Li2 Zn2 Ga1 Pd2 Pt1'
_cell_length_a 3.996
_cell_length_b 3.996
_cell_length_c 7.136
_cell_angle_alpha 90.00
_cell_angle_beta 90.00
_cell_angle_gamma 90.00
_symmetry_space_group_name_H-M 'P -4 m 2'
_symmetry_Int_Tables_number 115
loop_
_symmetry_equiv_pos_as_xyz
'x,y,z'
'y,-x,-z'
'-x,-y,z'
'-y,x,-z'
'-x,y,z'
'-y,-x,-z'
'x,-y,z'
'y,x,-z'
loop_
_atom_site_label
_atom_site_type_symbol
_atom_site_fract_x
_atom_site_fract_y
_atom_site_fract_z
Li1 Li 0.000 0.500 0.244
Zn1 Zn 0.000 0.000 0.000
Zn2 Zn 0.500 0.500 0.500
Ga1 Ga 0.000 0.000 0.500
Pd1 Pd 0.000 0.500 0.733
Pt1 Pt 0.500 0.500 0.000
```

=====

Diffraction record for KSm2CuS4. The powder X-ray diffraction pattern is computed, not measured: it uses DFT lattice parameters and positions (PBE) and Cu Kα X-rays.
No peak broadening, texture or thermal motion is included.

Most intense lines, 15 to 90 degrees two-theta, by intensity:
2theta, Rel. int.
32.23, 100
44.35, 62
23.11, 59
34.74, 52
30.20, 38
26.36, 37
30.07, 37
25.87, 36
58.08, 35
44.98, 30
39.88, 29
29.49, 27

Structure:
abc: 7.176 7.176 13.924
angles: 90.00 90.00 147.38
Sites, in units of the cell vectors:
K: 0.108 0.892 0.750
K: 0.892 0.108 0.250
Sm: 0.366 0.634 0.563
Sm: 0.366 0.634 0.937
Sm: 0.634 0.366 0.063
Sm: 0.634 0.366 0.437
Cu: 0.162 0.838 0.250
Cu: 0.838 0.162 0.750
S: 0.000 0.000 0.000
S: 0.000 0.000 0.500
S: 0.263 0.737 0.114
S: 0.263 0.737 0.386
S: 0.431 0.569 0.750
S: 0.569 0.431 0.250
S: 0.737 0.263 0.614
S: 0.737 0.263 0.886
Request.
Could you echo the whole of the material earlier on exactly?
Solution.
# Li2Zn2GaPd2Pt
Simulated XRD peak list, λ = 1.5418 Å (Cu Kα). Input: a DFT-relaxed cell (GGA-PBE, OQMD).
Lines closer than 0.1° are merged.

Most intense lines, 10 to 90 degrees two-theta, low angle first:
d = 7.136 Å, I 10, hkl 0 0 1
d = 3.487 Å, I 50, hkl 1 0 1
d = 2.215 Å, I 100, hkl 1 1 2
d = 2.044 Å, I 11, hkl 1 0 3
d = 1.998 Å, I 37, hkl 2 0 0
d = 1.784 Å, I 14, hkl 0 0 4
d = 1.734 Å, I 14, hkl 2 1 1
d = 1.413 Å, I 12, hkl 2 2 0
d = 1.331 Å, I 18, hkl 2 0 4
d = 1.191 Å, I 26, hkl 3 1 2
d = 1.108 Å, I 11, hkl 2 2 4
d = 1.096 Å, I 9, hkl 1 1 6

Structure:
```
data_Li2Zn2GaPd2Pt
_chemical_formula_sum 'Li2 Zn2 Ga1 Pd2 Pt1'
_cell_length_a 3.996
_cell_length_b 3.996
_cell_length_c 7.136
_cell_angle_alpha 90.00
_cell_angle_beta 90.00
_cell_angle_gamma 90.00
_symmetry_space_group_name_H-M 'P -4 m 2'
_symmetry_Int_Tables_number 115
loop_
_symmetry_equiv_pos_as_xyz
'x,y,z'
'y,-x,-z'
'-x,-y,z'
'-y,x,-z'
'-x,y,z'
'-y,-x,-z'
'x,-y,z'
'y,x,-z'
loop_
_atom_site_label
_atom_site_type_symbol
_atom_site_fract_x
_atom_site_fract_y
_atom_site_fract_z
Li1 Li 0.000 0.500 0.244
Zn1 Zn 0.000 0.000 0.000
Zn2 Zn 0.500 0.500 0.500
Ga1 Ga 0.000 0.000 0.500
Pd1 Pd 0.000 0.500 0.733
Pt1 Pt 0.500 0.500 0.000
```

=====

Diffraction record for KSm2CuS4. The powder X-ray diffraction pattern is computed, not measured: it uses DFT lattice parameters and positions (PBE) and Cu Kα X-rays.
No peak broadening, texture or thermal motion is included.

Most intense lines, 15 to 90 degrees two-theta, by intensity:
2theta, Rel. int.
32.23, 100
44.35, 62
23.11, 59
34.74, 52
30.20, 38
26.36, 37
30.07, 37
25.87, 36
58.08, 35
44.98, 30
39.88, 29
29.49, 27

Structure:
abc: 7.176 7.176 13.924
angles: 90.00 90.00 147.38
Sites, in units of the cell vectors:
K: 0.108 0.892 0.750
K: 0.892 0.108 0.250
Sm: 0.366 0.634 0.563
Sm: 0.366 0.634 0.937
Sm: 0.634 0.366 0.063
Sm: 0.634 0.366 0.437
Cu: 0.162 0.838 0.250
Cu: 0.838 0.162 0.750
S: 0.000 0.000 0.000
S: 0.000 0.000 0.500
S: 0.263 0.737 0.114
S: 0.263 0.737 0.386
S: 0.431 0.569 0.750
S: 0.569 0.431 0.250
S: 0.737 0.263 0.614
S: 0.737 0.263 0.886